Until Instagram ultimately took center stage in the photo-editing category, numerous apps competed for consumer attention in app stores. A similar whittling down of offerings could be imminent in the “sell fashion” category, where there are currently more than 50 offerings, including Poshmark, Vinted, closetremix, Bib + Tuck and Threadflip.
“Good branding that will resonate with the target audience is very important,” said Danika Daly, CEO and president of Danika Daly Public Relations, New York. “If the app maintains a certain aesthetic, users will take nicer product photos to match up to the other photos on the app.
“If the design of the app isn’t the greatest, it will attract cruddy photos. When it comes to fashion and clothing, they should be highlighted in the best ways possible.
“Threadflip, Material Wrld and Bib + Tuck do a great job at maintaining good visuals, even by their users. Out of the clothing selling apps currently out there, Bib + Tuck has the staying power, because it has a nice interface, it’s user-friendly, the branding is impeccable, and you can also trade items with other users without cash.”
Features to adoptSocial has become a centerpiece in these apps, creating a friendly experience and being given the ability to discuss the product directly with interested shoppers, which can encourage a sale.
It is believed that a higher level of interaction will lead a user to more sales.
“Social is incredibly necessary when using clothing selling apps,” Ms. Daly said. “When I post items and have a low level of interaction, I don’t sell anything.
“However, when I like outfits, comment on other posts, re-share my item, and follow users, my closet experiences a selling spree. If someone inquires about an item in a seller’s closet, it’s very important to reply and give as much information as possible. This leads to more sales for the seller.”
While social is a key component to these apps, each is fairly similar to one another and mostly maintains the same types of features, such as the ability to favorite items, comment on product images and search certain brands.
Vinted allows its users to trade items with its swap feature. Users can list an item and make it available for selling and/or swapping.
Marketing a productPerhaps a styling feature, which would allow for customer feedback and inquiries, could give these apps an extra push. This implementation would give the seller more of an opportunity to market the item by making suggestions on how to wear it.
“The ability to get feedback on clothing items while shopping on an app would be effective because one often thinks, ‘I love this, but how would I wear it?’ Ms. Daly said. “To be able to shop through an app and be styled by the app’s community would be the ultimate experience.
“How an item can fit into my closet is a determining factor on whether or not I make the purchase.”
Poshmark has developed learning tool PoshMatch to suggest items based on prior searches and click-throughs.
For example, if users click through Chanel handbags, the tool is used to point out closets that it thinks users will also like.
“We believe that the future of shopping will be built around social networks that foster relationships beyond buying and selling,” said Manish Chandra, founder and CEO of Poshmark, San Francisco. “Poshmark’s PoshMatch harnesses the power of the network’s social activity to bring offline discovery into the online shopping world.
“While other companies are trying to add shopping on top of their social platforms and vice versa, Poshmark has built a social commerce engine organically from the beginning.”
Poshmark claims that its average user is accessing the app seven to eight times per day and spending about 20 to 25 minutes in the app each day.
“Poshmark is definitely the leading contender with a growing user base and impressive inventory,” said Brittany Mills, director of digital marketing services at Mobiquity, New York. “I think the app that will stand the test of time is one that takes their usage guidelines and buyer protection promise seriously.
“The quickest turn-off for a shopper is to use an app and have one bad experience with a product or buyer or seller. It is the app’s responsibility to make sure the quality of the product is accurately represented and the users are there for the right reason.
“All apps have the same type of inventory, it is the experience that differentiates one from the other.”
Ultimately, ease of use ranks as a top necessary quality for any mobile app, including these social shopping apps. If an app is confusing or seems inaccessible to users, it is unlikely that they will stick around.
'''
Structure and theoretical X-ray powder pattern of AcScGe2Pt5 (a crystal structure in Alexandria, relaxed with GGA-PBE; Cu Kα (λ = 1.5418 Å)).
Lines closer than 0.1° are merged.

Unit cell a=4.189 b=4.189 c=11.088 alpha=90.00 beta=90.00 gamma=90.00
Positions (direct):
1 Ac 0.000 0.000 0.000
2 Sc 0.000 0.000 0.500
3 Ge 0.500 0.500 0.220
4 Ge 0.500 0.500 0.780
5 Pt 0.000 0.500 0.338
6 Pt 0.000 0.500 0.662
7 Pt 0.500 0.000 0.338
8 Pt 0.500 0.000 0.662
9 Pt 0.500 0.500 0.000

Main lines, in order of falling intensity (15 to 90 degrees two-theta):
2θ (°), d/Å, intensity
31.3, 2.862, 100.0
24.1, 3.696, 83.0
43.2, 2.095, 62.1
44.8, 2.024, 62.0
34.3, 2.613, 54.1
50.1, 1.822, 48.2

Structure and theoretical X-ray powder pattern of NpHg3O7 (a crystal structure in Alexandria, relaxed with GGA-PBE; Cu Kα (λ = 1.5418 Å)).
Lines closer than 0.1° are merged.

Unit cell a=5.656 b=5.656 c=6.548 alpha=108.00 beta=108.00 gamma=91.32
Positions (direct):
1 Np 0.000 0.000 0.000
2 Hg 0.208 0.762 0.477
3 Hg 0.396 0.396 0.822
4 Hg 0.762 0.208 0.477
5 O 0.092 0.730 0.742
6 O 0.254 0.254 0.022
7 O 0.282 0.895 0.242
8 O 0.479 0.479 0.565
9 O 0.730 0.092 0.742
10 O 0.774 0.774 0.022
11 O 0.895 0.282 0.242

Main lines, in order of falling intensity (15 to 90 degrees two-theta):
2θ (°), d/Å, intensity
26.8, 3.331, 100.0
31.9, 2.804, 58.4
25.1, 3.545, 57.6
29.7, 3.007, 35.1
52.0, 1.758, 24.9
39.7, 2.271, 23.0

Structure and theoretical X-ray powder pattern of CsBaCdSe2 (a crystal structure in Alexandria, relaxed with GGA-PBE; Cu Kα (λ = 1.5418 Å)).
Lines closer than 0.1° are merged.

Unit cell a=8.361 b=5.642 c=9.498 alpha=90.00 beta=100.05 gamma=90.00
Positions (direct):
1 Cs 0.000 0.155 0.250
2 Cs 0.000 0.845 0.750
3 Ba 0.500 0.491 0.750
4 Ba 0.500 0.509 0.250
5 Cd 0.500 0.000 0.000
6 Cd 0.500 0.000 0.500
7 Se 0.263 0.316 0.966
8 Se 0.263 0.684 0.466
9 Se 0.737 0.316 0.534
10 Se 0.737 0.684 0.034

Main lines, in order of falling intensity (15 to 90 degrees two-theta):
2θ (°), d/Å, intensity
22.2, 4.012, 100.0
28.4, 3.147, 92.9
38.5, 2.339, 85.2
25.6, 3.474, 85.0
33.6, 2.669, 41.4
26.2, 3.398, 37.9

Structure and theoretical X-ray powder pattern of Dy4AlAu3 (a crystal structure in Alexandria, relaxed with GGA-PBE; Cu Kα (λ = 1.5418 Å)).
Lines closer than 0.1° are merged.

Unit cell a=3.713 b=4.647 c=11.191 alpha=90.00 beta=90.00 gamma=90.00
Positions (direct):
1 Dy 0.000 0.000 0.000
2 Dy 0.000 0.500 0.279
3 Dy 0.500 0.000 0.491
4 Dy 0.500 0.500 0.787
5 Al 0.000 0.000 0.715
6 Au 0.000 0.500 0.561
7 Au 0.500 0.000 0.225
8 Au 0.500 0.500 0.055

Main lines, in order of falling intensity (15 to 90 degrees two-theta):
2θ (°), d/Å, intensity
31.9, 2.808, 100.0
39.3, 2.290, 65.5
38.8, 2.323, 34.6
37.5, 2.397, 33.0
63.4, 1.468, 28.7
32.0, 2.798, 28.3

Structure and theoretical X-ray powder pattern of GaAg2F2 (a crystal structure in Alexandria, relaxed with GGA-PBE; Cu Kα (λ = 1.5418 Å)).
Lines closer than 0.1° are merged.
'''
“An easy-to-use interface is also very important,” Ms. Daly said. “If a user has issues figuring out how to access their digital closet, how to sell and communicate, it can turn them away from using the app, and will lead them to post on another.
“Poshmark and Bib + Tuck are very easy to use.”